- - -
# 1
This record from the OMol25 dataset describes a 4-piece molecular cluster, C41H55F24NO9 overall at a distorted geometry. The level of theory is ωB97M-V with the def2-TZVPD basis set.

Values from the calculation:
LUMO = 0.013 Ha
HOMO energy = -9.4 eV
Kohn-Sham gap = 9.731 eV
structure (SMILES) = C#C[C@]1(COCCC)C(=O)O[C@](CCCCOC=O)(CCC(C)C)[C@H]1CCN(CC)C(C)=O.FC(F)C(F)(F)COC(F)(F)C(F)F.FC(F)C(F)(F)COC(F)(F)C(F)F.FC(F)C(F)(F)COC(F)(F)C(F)F

Structure (XYZ):
```
130
C41H55F24NO9 | the OMol25 dataset | ωB97M-V with the def2-TZVPD basis set
C -0.0911 -3.4116 4.4014
C -0.2316 -2.8419 3.3406
C -0.0746 -2.1987 1.9586
C -0.7757 -0.8083 1.7845
O -0.7421 -0.3092 0.4468
C -1.9902 0.3109 0.0772
C -3.0394 -0.7600 -0.3917
C -4.2283 -0.1402 -1.2275
C -0.6887 -3.0219 0.7246
O -1.7474 -3.5855 0.7160
O 0.1994 -2.9132 -0.3348
C 1.5979 -2.9642 0.0903
C 2.2639 -2.0374 -1.0019
C 3.8314 -1.9063 -0.8597
C 4.5604 -2.5487 -2.1292
C 4.9839 -1.5033 -3.2102
O 3.9829 -1.3100 -4.2607
C 4.1277 -2.2840 -5.2475
O 3.8119 -3.4343 -5.0572
C 2.2493 -4.4021 0.0409
C 1.2501 -5.5670 -0.3444
C 1.4054 -6.0264 -1.8573
C 1.0080 -4.9081 -2.8881
C 0.4824 -7.2815 -2.0952
C 1.4504 -2.3643 1.5656
C 2.5047 -1.3307 2.0967
C 2.3013 0.1514 1.6106
N 3.5614 0.9476 1.5516
C 3.7692 1.7599 2.7678
C 2.8635 3.0404 2.8765
C 3.6728 1.7118 0.3293
C 5.0473 1.7232 -0.4468
O 2.7875 2.3972 -0.1598
H 0.2085 -4.0970 5.2093
H -0.3547 -0.0134 2.4596
H -1.8542 -0.9255 2.0824
H -2.3958 0.9239 0.9316
H -1.8379 1.0438 -0.7616
H -2.5207 -1.5170 -1.0236
H -3.4869 -1.2065 0.5339
H -4.7497 -0.9879 -1.7488
H -4.9911 0.3212 -0.5442
H -3.8693 0.5768 -2.0061
H 2.0076 -2.5181 -1.9840
H 1.8106 -1.0187 -1.0375
H 4.1688 -2.5397 0.0064
H 4.1971 -0.8687 -0.6874
H 5.4848 -3.0831 -1.7695
H 3.8905 -3.3444 -2.5296
H 5.8870 -1.9305 -3.7357
H 5.3242 -0.5240 -2.7932
H 4.5069 -2.0335 -6.2746
H 3.0981 -4.4596 -0.6948
H 2.7098 -4.6935 1.0257
H 0.1865 -5.3851 -0.0639
H 1.5767 -6.4669 0.2519
H 2.4812 -6.3227 -1.9792
H 0.6605 -5.4026 -3.8380
H 1.8941 -4.2907 -3.1994
H 0.1557 -4.2754 -2.5347
H -0.6061 -7.0302 -1.9771
H 0.6867 -7.7670 -3.0877
H 0.7380 -8.0684 -1.3295
H 1.7261 -3.2802 2.1643
H 3.5540 -1.6572 1.8698
H 2.4282 -1.3468 3.2185
H 1.6569 0.6546 2.3887
H 1.7514 0.2633 0.6488
H 4.8426 2.0949 2.7530
H 3.6429 1.1642 3.7089
H 2.4109 3.0978 3.9050
H 3.4056 4.0054 2.7174
H 1.9918 3.0254 2.1718
H 5.7961 1.1111 0.1133
H 4.8493 1.1741 -1.4066
H 5.4007 2.7637 -0.6439
F -6.4799 -8.2245 -0.6363
C -6.5284 -6.9616 -0.1695
F -7.7313 -6.4557 -0.5418
C -5.4013 -6.0958 -0.7322
F -5.5107 -5.9831 -2.0762
F -5.5676 -4.8381 -0.2310
C -3.9649 -6.5289 -0.3768
O -3.2575 -7.2715 -1.3713
C -3.4123 -8.6588 -1.3991
F -4.1219 -9.0753 -0.3340
F -2.1724 -9.1814 -1.2549
C -4.0031 -9.1431 -2.7243
F -5.2313 -8.6235 -2.9295
F -4.1363 -10.4911 -2.7178
H -6.4983 -6.9872 0.9233
H -3.3907 -5.6041 -0.2797
H -3.9019 -6.9987 0.6062
H -3.3642 -8.8558 -3.5624
F 0.4875 6.3400 -1.9551
C 0.6042 5.9477 -0.6724
F -0.6498 5.9723 -0.1454
C 1.5316 6.8616 0.1261
F 1.0417 8.1220 0.1850
F 1.5470 6.4010 1.4061
C 2.9976 6.9121 -0.3498
O 3.3727 8.0240 -1.1619
C 3.1870 7.9300 -2.5433
F 2.8071 6.6854 -2.8834
F 4.4047 8.1194 -3.1021
C 2.2283 9.0008 -3.0671
F 1.0046 8.8719 -2.5131
F 2.0745 8.8820 -4.4070
H 0.9552 4.9118 -0.6506
H 3.5968 7.0340 0.5546
H 3.3281 5.9637 -0.7778
H 2.6033 10.0017 -2.8424
F -5.7355 7.0250 3.8395
C -5.7257 8.3178 4.2168
F -6.9183 8.8425 3.8389
C -4.5833 9.0984 3.5668
F -4.7239 9.1215 2.2224
F -4.6903 10.3942 3.9829
C -3.1547 8.6366 3.9178
O -2.4972 7.8021 2.9668
C -2.6977 6.4218 3.0443
F -3.3948 6.1103 4.1541
F -1.4729 5.8696 3.1996
C -3.3374 5.8637 1.7724
F -4.5538 6.4085 1.5560
F -3.5170 4.5239 1.8781
H -5.6672 8.3674 5.3078
H -2.5474 9.5436 3.9351
H -3.0849 8.2350 4.9303
H -2.7129 6.0651 0.9008
```

---

# 2
This record from the OMol25 dataset describes C20H23AuN5S3 as an isolated structure. The level of theory is ωB97M-V with the def2-TZVPD basis set.

Values from the calculation:
LUMO (alpha / beta) = -0.453 / -0.453 Ha
- - -

Search the material further above for the word "an" and give back each line that has it.

This record from the OMol25 dataset describes C20H23AuN5S3 as an isolated structure. The level of theory is ωB97M-V with the def2-TZVPD basis set.